== Work order ==
Now start at the top of the rows below and echo each line, ending with the one that has "2.96 0.80".

== File ==
<<<
## P
C4H11NO2 | ωB97M-V/def2-TZVPD

The geometry in XYZ format:
```
18
Properties=species:S:1:pos:R:3:lowdin_charge:R:1
C 0.36 1.56 1.54 -0.08
C -0.85 0.89 0.90 -0.16
C -0.45 -0.03 -0.24 -0.50
O 0.55 0.14 -0.91 0.04
N -1.25 -1.12 -0.41 0.00
C -1.18 -1.90 -1.63 -0.06
H 1.21 0.90 1.43 0.06
H 0.60 2.55 1.13 0.08
H 0.15 1.80 2.58 0.07
H -1.71 1.48 0.60 0.12
H -1.20 0.20 1.68 0.11
H -1.99 -1.20 0.26 0.13
H -2.18 -2.30 -1.82 0.08
H -0.53 -2.76 -1.50 0.08
H -0.90 -1.24 -2.44 0.08
O 3.47 0.38 -0.57 -0.07
H 2.60 0.34 -0.97 0.00
H 3.29 0.32 0.37 0.01
```

Output
* HOMO-LUMO gap: 0.395 Eh
* lowest unoccupied orbital energy: 0.702 eV
* spin multiplicity: 1
* SMILES: CCC(=O)NC.O

---

## Q
C4H11NO2 | ωB97M-V/def2-TZVPD

The geometry in XYZ format:
```
18
Properties=species:S:1:pos:R:3:lowdin_charge:R:1
C -1.33 -0.80 -0.92 0.09
C -1.21 -0.79 0.45 -0.29
O -1.75 0.26 1.18 -0.13
C -0.78 1.17 1.74 -0.29
N -0.11 2.02 0.81 0.04
H -1.61 0.09 -1.46 0.09
H -1.18 -1.71 -1.48 0.08
H -1.19 -1.74 1.00 0.13
H -1.35 1.77 2.44 0.12
H -0.02 0.59 2.28 0.12
H -0.77 2.60 0.30 0.08
H 0.44 1.49 0.14 0.05
C 2.14 -0.87 -1.33 -0.17
O 0.92 -0.37 -0.83 -0.29
H 2.98 -0.58 -0.69 0.07
H 2.32 -0.42 -2.31 0.08
H 2.14 -1.96 -1.45 0.07
H 0.34 -0.76 0.14 0.15
```

Output
* HOMO-LUMO gap: 0.356 Eh
* lowest unoccupied orbital energy: 0.671 eV
* spin multiplicity: 1
* SMILES: C=COCN.CO

---

## R
C4H11NO2 | ωB97M-V/def2-TZVPD

The geometry in XYZ format:
```
18
Properties=species:S:1:pos:R:3:lowdin_charge:R:1
C 0.29 -1.34 -0.69 -0.04
N 0.79 0.00 -0.29 -0.27
C 2.25 0.10 -0.05 -0.05
C 0.05 0.80 0.79 -0.08
C -0.74 1.17 -0.51 -0.30
O -1.88 0.84 -0.84 -0.02
H 0.00 -2.00 0.14 0.10
H -0.70 -1.14 -1.14 0.08
H 0.98 -1.65 -1.46 0.09
H 2.63 -0.40 -0.93 0.08
H 2.48 -0.31 0.97 0.11
H 2.41 1.17 0.07 0.08
H 0.34 1.81 1.08 0.12
H -0.61 0.46 1.58 0.10
H -0.19 1.89 -1.09 0.12
H -2.94 -0.01 0.25 0.01
H -2.11 -0.72 1.16 -0.02
O -3.05 -0.69 0.97 -0.10
```

Output
* HOMO-LUMO gap: 0.370 Eh
* lowest unoccupied orbital energy: 0.664 eV
* spin multiplicity: 1

---

Which structure is most stable? P, by 75.8 kcal/mol over the runner-up.

---

## P
C2H9N2O | ωB97M-V/def2-TZVPD

The geometry in XYZ format:
```
14
Properties=species:S:1:pos:R:3:lowdin_charge:R:1
C -1.52 0.19 0.07 -0.18
C -0.50 0.50 -0.79 -0.14
N 0.67 -0.33 -0.90 0.13
N -2.68 0.89 0.32 0.04
H -1.42 -0.75 0.66 0.14
H -0.36 1.38 -1.30 0.09
H 0.95 -0.34 -1.93 0.20
H 1.50 0.08 -0.33 0.16
H 0.66 -1.31 -0.56 0.16
H -2.96 1.77 -0.25 0.15
H -3.40 0.59 1.10 0.17
H 3.32 -1.64 1.08 0.10
H 2.89 -0.26 1.88 0.12
O 2.84 -0.75 0.97 -0.13
```

Output
* HOMO-LUMO gap: 0.346 Eh
* lowest unoccupied orbital energy: -3.252 eV
* spin multiplicity: 1
* charge: +1

---

## Q
C2H9N2O | ωB97M-V/def2-TZVPD

The geometry in XYZ format:
```
14
Properties=species:S:1:pos:R:3:lowdin_charge:R:1
C 0.94 -0.25 0.36 -0.14
C 0.92 0.50 -0.76 -0.17
N 2.09 0.95 -1.26 0.08
N -0.11 -1.03 0.96 0.18
H 1.98 -0.58 0.62 0.14
H 0.01 0.80 -1.26 0.13
H 2.34 1.52 -2.07 0.13
H 2.96 0.80 -0.76 0.11
H -1.03 -0.72 0.58 0.13
H -0.22 -0.79 1.97 0.18
H 0.04 -2.03 0.88 0.17
H -3.75 -0.30 0.50 0.06
H -3.26 1.02 0.04 0.07
O -2.93 0.10 0.19 -0.06
```

Output
* HOMO-LUMO gap: 0.350 Eh
* lowest unoccupied orbital energy: -3.256 eV
* spin multiplicity: 1
* charge: +1

---

## R
C2H9N2O | ωB97M-V/def2-TZVPD

The geometry in XYZ format:
```
14
Properties=species:S:1:pos:R:3:lowdin_charge:R:1
C 0.37 -0.96 -0.35 -0.09
C -0.80 -0.51 -0.81 -0.19
N -1.35 -0.84 -2.02 0.09
N 0.72 -0.69 1.06 0.18
H 1.12 -1.50 -0.90 0.12
H -1.42 0.12 -0.19 0.13
H -2.11 -0.27 -2.34 0.11
H -0.67 -1.04 -2.75 0.12
H 0.55 0.29 1.32 0.10
H 1.73 -0.80 1.23 0.18
H 0.24 -1.33 1.68 0.17
H 0.81 3.03 1.84 0.08
H 0.02 2.31 0.82 0.06
O 0.80 2.17 1.39 -0.05
```

Output
* HOMO-LUMO gap: 0.367 Eh
* lowest unoccupied orbital energy: -3.225 eV
* spin multiplicity: 1
* charge: +1

---

Which structure is most stable? R, by 6.4 kcal/mol over the runner-up.

---

## P
C2H9N2O | ωB97M-V/def2-TZVPD

The geometry in XYZ format:
```
14
>>>

== Outcome ==
## P
C4H11NO2 | ωB97M-V/def2-TZVPD

The geometry in XYZ format:
```
18
Properties=species:S:1:pos:R:3:lowdin_charge:R:1
C 0.36 1.56 1.54 -0.08
C -0.85 0.89 0.90 -0.16
C -0.45 -0.03 -0.24 -0.50
O 0.55 0.14 -0.91 0.04
N -1.25 -1.12 -0.41 0.00
C -1.18 -1.90 -1.63 -0.06
H 1.21 0.90 1.43 0.06
H 0.60 2.55 1.13 0.08
H 0.15 1.80 2.58 0.07
H -1.71 1.48 0.60 0.12
H -1.20 0.20 1.68 0.11
H -1.99 -1.20 0.26 0.13
H -2.18 -2.30 -1.82 0.08
H -0.53 -2.76 -1.50 0.08
H -0.90 -1.24 -2.44 0.08
O 3.47 0.38 -0.57 -0.07
H 2.60 0.34 -0.97 0.00
H 3.29 0.32 0.37 0.01
```

Output
* HOMO-LUMO gap: 0.395 Eh
* lowest unoccupied orbital energy: 0.702 eV
* spin multiplicity: 1
* SMILES: CCC(=O)NC.O

---

## Q
C4H11NO2 | ωB97M-V/def2-TZVPD

The geometry in XYZ format:
```
18
Properties=species:S:1:pos:R:3:lowdin_charge:R:1
C -1.33 -0.80 -0.92 0.09
C -1.21 -0.79 0.45 -0.29
O -1.75 0.26 1.18 -0.13
C -0.78 1.17 1.74 -0.29
N -0.11 2.02 0.81 0.04
H -1.61 0.09 -1.46 0.09
H -1.18 -1.71 -1.48 0.08
H -1.19 -1.74 1.00 0.13
H -1.35 1.77 2.44 0.12
H -0.02 0.59 2.28 0.12
H -0.77 2.60 0.30 0.08
H 0.44 1.49 0.14 0.05
C 2.14 -0.87 -1.33 -0.17
O 0.92 -0.37 -0.83 -0.29
H 2.98 -0.58 -0.69 0.07
H 2.32 -0.42 -2.31 0.08
H 2.14 -1.96 -1.45 0.07
H 0.34 -0.76 0.14 0.15
```

Output
* HOMO-LUMO gap: 0.356 Eh
* lowest unoccupied orbital energy: 0.671 eV
* spin multiplicity: 1
* SMILES: C=COCN.CO

---

## R
C4H11NO2 | ωB97M-V/def2-TZVPD

The geometry in XYZ format:
```
18
Properties=species:S:1:pos:R:3:lowdin_charge:R:1
C 0.29 -1.34 -0.69 -0.04
N 0.79 0.00 -0.29 -0.27
C 2.25 0.10 -0.05 -0.05
C 0.05 0.80 0.79 -0.08
C -0.74 1.17 -0.51 -0.30
O -1.88 0.84 -0.84 -0.02
H 0.00 -2.00 0.14 0.10
H -0.70 -1.14 -1.14 0.08
H 0.98 -1.65 -1.46 0.09
H 2.63 -0.40 -0.93 0.08
H 2.48 -0.31 0.97 0.11
H 2.41 1.17 0.07 0.08
H 0.34 1.81 1.08 0.12
H -0.61 0.46 1.58 0.10
H -0.19 1.89 -1.09 0.12
H -2.94 -0.01 0.25 0.01
H -2.11 -0.72 1.16 -0.02
O -3.05 -0.69 0.97 -0.10
```

Output
* HOMO-LUMO gap: 0.370 Eh
* lowest unoccupied orbital energy: 0.664 eV
* spin multiplicity: 1

---

Which structure is most stable? P, by 75.8 kcal/mol over the runner-up.

---

## P
C2H9N2O | ωB97M-V/def2-TZVPD

The geometry in XYZ format:
```
14
Properties=species:S:1:pos:R:3:lowdin_charge:R:1
C -1.52 0.19 0.07 -0.18
C -0.50 0.50 -0.79 -0.14
N 0.67 -0.33 -0.90 0.13
N -2.68 0.89 0.32 0.04
H -1.42 -0.75 0.66 0.14
H -0.36 1.38 -1.30 0.09
H 0.95 -0.34 -1.93 0.20
H 1.50 0.08 -0.33 0.16
H 0.66 -1.31 -0.56 0.16
H -2.96 1.77 -0.25 0.15
H -3.40 0.59 1.10 0.17
H 3.32 -1.64 1.08 0.10
H 2.89 -0.26 1.88 0.12
O 2.84 -0.75 0.97 -0.13
```

Output
* HOMO-LUMO gap: 0.346 Eh
* lowest unoccupied orbital energy: -3.252 eV
* spin multiplicity: 1
* charge: +1

---

## Q
C2H9N2O | ωB97M-V/def2-TZVPD

The geometry in XYZ format:
```
14
Properties=species:S:1:pos:R:3:lowdin_charge:R:1
C 0.94 -0.25 0.36 -0.14
C 0.92 0.50 -0.76 -0.17
N 2.09 0.95 -1.26 0.08
N -0.11 -1.03 0.96 0.18
H 1.98 -0.58 0.62 0.14
H 0.01 0.80 -1.26 0.13
H 2.34 1.52 -2.07 0.13
H 2.96 0.80 -0.76 0.11